Source
The following is a DFT calculation (ωB97M-V with the def2-TZVPD basis set) of a structure of composition C32H43N7O12P3S3Ti.

```
101
Properties=species:S:1:pos:R:3:forces:R:3
Ti 0.727 -0.017 0.068 0.1 0.1 0.0
C 0.195 5.013 3.325 0.0 0.0 0.0
N -0.064 4.866 1.906 0.0 0.0 0.0
C 0.588 5.529 0.879 0.0 0.0 0.0
C -0.020 5.185 -0.269 0.0 0.0 0.0
N -1.045 4.304 0.053 0.0 0.0 0.0
C -1.088 4.111 1.417 0.0 0.0 0.0
S -2.161 3.224 2.332 0.0 0.0 0.0
C -2.062 3.917 -0.870 0.0 0.0 0.0
C -2.634 4.887 -1.676 0.0 0.0 0.0
C -3.622 4.490 -2.563 0.0 0.0 0.0
C -4.009 3.162 -2.584 0.0 0.0 0.0
C -3.380 2.277 -1.725 0.0 0.0 0.0
N -2.404 2.639 -0.890 0.0 0.0 0.0
H 0.954 5.781 3.461 0.0 0.0 0.0
H 0.532 4.068 3.752 0.0 0.0 0.0
H -0.722 5.304 3.834 0.0 0.0 0.0
H 1.410 6.198 1.061 0.0 0.0 0.0
H 0.176 5.479 -1.285 0.0 0.0 0.0
H -2.334 5.922 -1.588 0.0 0.0 0.0
H -4.097 5.217 -3.208 0.0 0.0 0.0
H -4.789 2.811 -3.244 0.0 0.0 0.0
H -3.666 1.233 -1.702 0.0 0.0 0.0
C -2.022 -6.757 -0.606 -0.1 0.0 0.0
C -1.035 -5.742 -0.125 0.0 0.0 0.0
C -1.378 -4.831 0.880 0.0 0.0 0.0
C -0.474 -3.882 1.323 0.0 0.0 0.0
C 0.790 -3.830 0.750 0.0 0.0 0.0
C 1.163 -4.731 -0.238 0.0 0.0 0.0
C 0.248 -5.676 -0.668 0.0 0.0 0.0
S 2.007 -2.749 1.385 0.0 0.0 0.0
O 2.399 -3.185 2.689 0.0 0.0 0.0
O 3.055 -2.611 0.385 0.0 0.0 0.0
N 1.294 -1.221 1.538 0.0 -0.1 0.1
C 1.303 -0.616 2.836 0.0 0.0 0.0
C 2.394 -0.657 3.709 0.0 0.0 0.0
C 2.304 0.032 4.904 0.0 0.0 0.0
C 1.160 0.762 5.196 0.0 0.0 0.0
C 0.141 0.765 4.262 0.0 0.0 0.0
N 0.208 0.084 3.116 0.0 0.0 0.0
H -2.612 -7.151 0.220 0.0 0.0 0.0
H -1.522 -7.576 -1.123 0.0 0.0 0.0
H -2.738 -6.284 -1.284 0.0 0.0 0.0
H -2.376 -4.883 1.296 0.0 0.0 0.0
H -0.750 -3.188 2.108 0.0 0.0 0.0
H 2.168 -4.731 -0.637 0.0 0.0 0.0
H 0.542 -6.395 -1.422 0.0 0.0 0.0
H 3.270 -1.239 3.475 0.0 0.0 0.0
H 3.126 -0.007 5.607 0.0 0.0 0.0
H 1.055 1.305 6.125 0.0 0.0 0.0
H -0.770 1.330 4.422 0.0 0.0 0.0
N 0.003 -1.703 -3.701 0.0 0.0 0.0
C 1.176 -0.764 -3.466 0.0 0.0 0.0
C 2.057 -0.723 -4.705 0.0 0.0 0.0
P 1.993 -1.282 -1.928 0.0 0.0 0.0
O 2.836 -2.537 -2.308 0.0 0.0 0.0
O 2.690 -0.146 -1.247 0.0 0.0 0.0
O 0.752 -1.602 -1.057 0.0 -0.1 0.0
P 0.323 0.881 -3.111 0.1 0.0 0.0
O 1.336 1.992 -3.634 0.0 0.0 0.0
O -0.930 0.792 -3.890 0.0 0.0 0.0
O 0.291 1.048 -1.602 -0.1 -0.1 0.0
H 0.264 -2.526 -4.246 0.0 0.0 0.0
H -0.724 -1.144 -4.186 0.0 0.0 0.0
H -0.400 -2.014 -2.804 0.0 0.0 0.0
H 2.454 -1.713 -4.933 0.0 0.0 0.0
H 2.899 -0.055 -4.532 0.0 0.0 0.0
H 1.501 -0.354 -5.568 0.0 0.0 0.0
H 3.207 -2.929 -1.484 0.0 0.0 0.0
H 1.090 2.332 -4.505 0.0 0.0 0.0
N -1.150 0.541 0.654 -0.1 0.0 0.1
C -2.032 -0.564 0.327 -0.1 0.0 0.0
C -2.690 -1.259 1.333 0.1 0.0 0.0
C -3.524 -2.310 0.992 0.0 0.0 0.0
C -3.679 -2.678 -0.340 -0.1 0.0 0.1
C -3.053 -1.951 -1.338 0.0 0.0 -0.1
C -2.235 -0.883 -1.010 -0.1 0.0 -0.1
S -4.693 -4.096 -0.784 0.0 0.0 0.0
O -6.018 -3.539 -0.913 0.0 0.0 0.0
O -4.501 -5.004 0.335 0.0 0.0 0.0
O -4.077 -4.542 -2.028 0.0 0.0 0.0
H -1.101 0.665 1.671 0.0 0.0 0.0
H -1.525 1.415 0.222 0.1 0.0 -0.1
H -2.540 -0.978 2.369 0.0 0.0 0.0
H -4.042 -2.878 1.754 0.0 0.0 0.0
H -3.228 -2.243 -2.367 0.0 0.0 0.0
H -1.801 -0.263 -1.785 0.0 0.0 0.0
C 4.357 0.760 1.162 0.0 0.0 0.0
P 3.115 2.010 0.893 0.0 0.0 0.0
C 3.157 3.123 2.286 0.0 0.0 0.0
C 3.457 2.911 -0.606 0.0 0.0 0.0
O 1.680 1.431 0.818 0.0 0.0 0.0
H 5.341 1.212 1.028 0.0 0.0 0.0
H 4.224 -0.058 0.456 0.0 0.0 0.0
H 4.273 0.388 2.182 0.0 0.0 0.0
H 4.167 3.509 2.430 0.0 0.0 0.0
H 2.847 2.574 3.177 0.0 0.0 0.0
H 2.470 3.949 2.110 0.0 0.0 0.0
H 4.418 3.421 -0.530 0.0 0.0 0.0
H 2.661 3.642 -0.758 0.0 0.0 0.0
H 3.468 2.208 -1.438 0.0 0.0 0.0
```
Positions in Å, forces in eV/Å.

Computed properties:
Multiplicity: 1
DFT total energy: -152376.5268 eV
Highest occupied orbital energy: -9.90 eV
Gap between HOMO and LUMO: 0.21326 hartree
Energy above the lowest of the compared OMol25 structures with the same formula, charge and spin: 1.542 eV
Total charge: +1
LUMO: -4.09 eV
Work order
Next, quote the listing earlier on from the line with "1.296 0.0" to the end verbatim.
Response
H -2.376 -4.883 1.296 0.0 0.0 0.0
H -0.750 -3.188 2.108 0.0 0.0 0.0
H 2.168 -4.731 -0.637 0.0 0.0 0.0
H 0.542 -6.395 -1.422 0.0 0.0 0.0
H 3.270 -1.239 3.475 0.0 0.0 0.0
H 3.126 -0.007 5.607 0.0 0.0 0.0
H 1.055 1.305 6.125 0.0 0.0 0.0
H -0.770 1.330 4.422 0.0 0.0 0.0
N 0.003 -1.703 -3.701 0.0 0.0 0.0
C 1.176 -0.764 -3.466 0.0 0.0 0.0
C 2.057 -0.723 -4.705 0.0 0.0 0.0
P 1.993 -1.282 -1.928 0.0 0.0 0.0
O 2.836 -2.537 -2.308 0.0 0.0 0.0
O 2.690 -0.146 -1.247 0.0 0.0 0.0
O 0.752 -1.602 -1.057 0.0 -0.1 0.0
P 0.323 0.881 -3.111 0.1 0.0 0.0
O 1.336 1.992 -3.634 0.0 0.0 0.0
O -0.930 0.792 -3.890 0.0 0.0 0.0
O 0.291 1.048 -1.602 -0.1 -0.1 0.0
H 0.264 -2.526 -4.246 0.0 0.0 0.0
H -0.724 -1.144 -4.186 0.0 0.0 0.0
H -0.400 -2.014 -2.804 0.0 0.0 0.0
H 2.454 -1.713 -4.933 0.0 0.0 0.0
H 2.899 -0.055 -4.532 0.0 0.0 0.0
H 1.501 -0.354 -5.568 0.0 0.0 0.0
H 3.207 -2.929 -1.484 0.0 0.0 0.0
H 1.090 2.332 -4.505 0.0 0.0 0.0
N -1.150 0.541 0.654 -0.1 0.0 0.1
C -2.032 -0.564 0.327 -0.1 0.0 0.0
C -2.690 -1.259 1.333 0.1 0.0 0.0
C -3.524 -2.310 0.992 0.0 0.0 0.0
C -3.679 -2.678 -0.340 -0.1 0.0 0.1
C -3.053 -1.951 -1.338 0.0 0.0 -0.1
C -2.235 -0.883 -1.010 -0.1 0.0 -0.1
S -4.693 -4.096 -0.784 0.0 0.0 0.0
O -6.018 -3.539 -0.913 0.0 0.0 0.0
O -4.501 -5.004 0.335 0.0 0.0 0.0
O -4.077 -4.542 -2.028 0.0 0.0 0.0
H -1.101 0.665 1.671 0.0 0.0 0.0
H -1.525 1.415 0.222 0.1 0.0 -0.1
H -2.540 -0.978 2.369 0.0 0.0 0.0
H -4.042 -2.878 1.754 0.0 0.0 0.0
H -3.228 -2.243 -2.367 0.0 0.0 0.0
H -1.801 -0.263 -1.785 0.0 0.0 0.0
C 4.357 0.760 1.162 0.0 0.0 0.0
P 3.115 2.010 0.893 0.0 0.0 0.0
C 3.157 3.123 2.286 0.0 0.0 0.0
C 3.457 2.911 -0.606 0.0 0.0 0.0
O 1.680 1.431 0.818 0.0 0.0 0.0
H 5.341 1.212 1.028 0.0 0.0 0.0
H 4.224 -0.058 0.456 0.0 0.0 0.0
H 4.273 0.388 2.182 0.0 0.0 0.0
H 4.167 3.509 2.430 0.0 0.0 0.0
H 2.847 2.574 3.177 0.0 0.0 0.0
H 2.470 3.949 2.110 0.0 0.0 0.0
H 4.418 3.421 -0.530 0.0 0.0 0.0
H 2.661 3.642 -0.758 0.0 0.0 0.0
H 3.468 2.208 -1.438 0.0 0.0 0.0
```
Positions in Å, forces in eV/Å.

Computed properties:
Multiplicity: 1
DFT total energy: -152376.5268 eV
Highest occupied orbital energy: -9.90 eV
Gap between HOMO and LUMO: 0.21326 hartree
Energy above the lowest of the compared OMol25 structures with the same formula, charge and spin: 1.542 eV
Total charge: +1
LUMO: -4.09 eV